To do >
Next, repeat all of the data further down exactly.

File >
(1)
C27H46BrN3OP2Pt as an isolated structure at a distorted geometry, computed with ωB97M-V/def2-TZVPD.

The expectation value of S² is 2.071. The multiplicity is 3. The net charge is +2. As for the gap between HOMO and LUMO (alpha / beta): 0.2005 / 0.1957 Ha. The calculation puts the LUMO energy (alpha / beta) at -6.984 / -8.994 eV.

Structure (XYZ):
```
81
C27H46BrN3OP2Pt ωB97M-V/def2-TZVPD
C 3.24 -0.17 3.90
H 0.43 -0.73 -2.47
H 3.22 2.44 1.11
H 0.29 3.03 -1.88
H -0.92 -3.15 -3.27
C 1.69 -3.21 -2.54
C -4.27 0.32 1.87
H -0.47 4.60 -0.42
O 2.22 -0.55 1.24
H -1.28 -1.62 4.98
H 2.83 -1.12 3.55
C 0.55 -3.35 -1.69
C -0.24 -3.17 0.59
H -2.03 2.28 -3.00
C 2.84 -2.64 -2.05
H 2.88 1.41 -0.19
H -0.82 -1.25 2.63
C 2.61 0.54 1.63
C 4.74 -1.06 -2.32
C 0.27 0.34 -2.71
H -1.78 3.47 -0.05
H -4.46 -0.76 1.72
H 0.96 2.25 -0.43
C -2.45 2.54 3.92
C -2.35 1.51 -2.28
H 3.12 -2.79 -4.79
H -0.23 -3.35 1.66
C 0.77 -3.51 -0.29
H -1.79 2.01 4.62
H -3.48 2.29 4.17
C 4.64 -1.28 -5.06
C 1.62 1.00 -3.01
Pt -1.70 -0.58 0.02
C -0.76 -3.14 -2.20
C -1.38 -2.52 0.02
P -0.84 0.98 -1.35
C -2.11 2.20 2.48
C 5.53 -0.28 -3.18
N 2.67 1.66 0.77
H -2.74 0.22 -4.01
H 1.58 -3.50 -3.59
H -6.16 0.48 2.81
H -2.87 -1.59 4.19
C 3.81 -2.11 -4.29
H 1.75 -3.80 0.09
C 3.83 -1.98 -2.88
H 1.55 2.09 -3.15
H -3.00 1.97 -1.51
N 2.97 0.84 2.91
H -2.67 2.81 1.76
C -1.29 -0.44 3.21
H 4.64 -1.36 -6.14
H 4.81 -0.92 -1.24
H -0.49 0.27 3.45
P -2.44 0.45 2.08
C -5.16 0.89 2.95
C 0.02 2.55 -0.92
H -5.21 1.98 2.84
H 6.21 0.48 -2.76
H -4.47 0.80 0.89
H 3.30 1.78 3.09
H -4.12 0.50 -2.95
H -2.32 3.62 4.07
Br -3.16 -2.52 1.40
N 5.45 -0.37 -4.50
H 2.96 -2.49 -0.97
H 2.35 0.79 -2.22
H -4.81 0.63 3.95
H -0.31 3.55 0.97
H 4.32 -0.29 4.06
H -2.87 -0.63 -2.46
H -0.35 0.35 -3.62
H -1.05 2.35 2.28
C -3.04 0.33 -2.96
H -2.82 -2.73 -1.60
H 2.03 0.59 -3.94
C -1.77 -2.78 -1.33
H -2.30 -0.16 5.11
H 2.77 0.11 4.85
C -0.69 3.58 -0.06
C -1.99 -0.98 4.45
```

Atom charges from the Löwdin analysis, given in e for atoms 1 to 2: atom 1 (C): -0.065, atom 2 (H): 0.043


(2)
One molecule with the formula C2H2O2 at a distorted geometry, computed with ωB97M-V/def2-TZVPD.

Its SMILES is O=C=CO. As for the gap between HOMO and LUMO: 0.3182 Ha. The calculation puts the LUMO energy at 0.173 eV.

Structure (XYZ):
```
6
C2H2O2 ωB97M-V/def2-TZVPD
C 0.39 0.38 -0.08
O 2.82 -0.09 0.02
C 1.67 0.04 -0.12
O -0.63 -0.53 -0.06
H -0.55 -1.39 0.31
H -0.03 1.30 -0.29
```

Atom charges from the Löwdin analysis, given in e for atoms 1 to 2: atom 1 (C): -0.176, atom 2 (O): 0.158


(3)
C33H37N9OW as an isolated structure, computed with ωB97M-V/def2-TZVPD.

The net charge is +4. As for the gap between HOMO and LUMO (alpha / beta): 0.1646 / 0.1648 Ha. The calculation puts the LUMO energy (alpha / beta) at -13.955 / -13.954 eV.

Structure (XYZ):
```
81
C33H37N9OW ωB97M-V/def2-TZVPD
H -4.13 1.67 1.86
H -5.44 1.14 -0.24
H 4.47 3.86 3.25
H -0.03 -0.60 4.65
C 3.93 0.50 4.09
C -4.32 -2.45 -1.13
H 3.08 2.21 -1.06
H 4.26 -4.20 -1.60
H -2.58 2.18 -6.62
H -2.51 -0.12 -5.72
H 3.54 0.54 1.34
H 1.29 1.16 4.22
C 4.43 1.87 3.95
N 1.40 1.45 -0.38
H 0.82 -3.94 1.64
N 0.69 2.06 -1.47
H 4.29 -0.04 4.97
H -0.97 0.89 2.60
C 3.02 0.26 -1.63
C 1.89 1.73 2.17
C -2.08 1.98 -5.68
H -0.32 3.61 -3.28
C 3.74 -2.11 -1.58
H 4.55 -1.81 -2.23
C -6.01 -0.72 -1.10
C 3.58 -3.45 -1.23
H -3.82 2.52 0.36
C -5.61 -2.01 -1.41
H -1.50 4.04 -5.41
C -3.36 1.88 1.11
C -0.06 1.19 -2.06
C -2.89 0.61 0.48
C -0.77 1.51 -3.28
H -2.53 2.42 1.55
C 0.23 -2.00 3.01
C 2.86 -1.16 -1.11
N -0.17 -0.11 -1.53
H 2.10 -0.38 1.59
C -1.46 3.04 -5.00
H 4.05 0.37 -1.96
C -1.39 0.48 -3.98
C -5.11 0.15 -0.49
H -1.46 -0.87 3.68
H -4.04 -3.47 -1.36
H 2.40 0.38 -2.52
C 2.76 2.89 2.46
H -0.75 -2.07 -1.91
W 0.38 -0.13 0.60
H -6.32 -2.69 -1.87
N 1.84 -1.50 -0.27
H 2.43 3.85 2.07
O -1.66 0.33 0.60
C 2.52 -3.79 -0.41
N -0.20 -2.08 1.58
H 0.26 2.39 3.49
C -0.81 2.81 -3.81
N 2.79 1.32 -0.65
C -0.38 -0.76 3.63
H -1.71 -1.59 -3.94
N -1.31 -0.81 -3.43
C -0.75 -1.04 -2.27
H -2.42 -1.93 -0.29
N 3.19 -0.14 3.27

Outcome >
(1)
C27H46BrN3OP2Pt as an isolated structure at a distorted geometry, computed with ωB97M-V/def2-TZVPD.

The expectation value of S² is 2.071. The multiplicity is 3. The net charge is +2. As for the gap between HOMO and LUMO (alpha / beta): 0.2005 / 0.1957 Ha. The calculation puts the LUMO energy (alpha / beta) at -6.984 / -8.994 eV.

Structure (XYZ):
```
81
C27H46BrN3OP2Pt ωB97M-V/def2-TZVPD
C 3.24 -0.17 3.90
H 0.43 -0.73 -2.47
H 3.22 2.44 1.11
H 0.29 3.03 -1.88
H -0.92 -3.15 -3.27
C 1.69 -3.21 -2.54
C -4.27 0.32 1.87
H -0.47 4.60 -0.42
O 2.22 -0.55 1.24
H -1.28 -1.62 4.98
H 2.83 -1.12 3.55
C 0.55 -3.35 -1.69
C -0.24 -3.17 0.59
H -2.03 2.28 -3.00
C 2.84 -2.64 -2.05
H 2.88 1.41 -0.19
H -0.82 -1.25 2.63
C 2.61 0.54 1.63
C 4.74 -1.06 -2.32
C 0.27 0.34 -2.71
H -1.78 3.47 -0.05
H -4.46 -0.76 1.72
H 0.96 2.25 -0.43
C -2.45 2.54 3.92
C -2.35 1.51 -2.28
H 3.12 -2.79 -4.79
H -0.23 -3.35 1.66
C 0.77 -3.51 -0.29
H -1.79 2.01 4.62
H -3.48 2.29 4.17
C 4.64 -1.28 -5.06
C 1.62 1.00 -3.01
Pt -1.70 -0.58 0.02
C -0.76 -3.14 -2.20
C -1.38 -2.52 0.02
P -0.84 0.98 -1.35
C -2.11 2.20 2.48
C 5.53 -0.28 -3.18
N 2.67 1.66 0.77
H -2.74 0.22 -4.01
H 1.58 -3.50 -3.59
H -6.16 0.48 2.81
H -2.87 -1.59 4.19
C 3.81 -2.11 -4.29
H 1.75 -3.80 0.09
C 3.83 -1.98 -2.88
H 1.55 2.09 -3.15
H -3.00 1.97 -1.51
N 2.97 0.84 2.91
H -2.67 2.81 1.76
C -1.29 -0.44 3.21
H 4.64 -1.36 -6.14
H 4.81 -0.92 -1.24
H -0.49 0.27 3.45
P -2.44 0.45 2.08
C -5.16 0.89 2.95
C 0.02 2.55 -0.92
H -5.21 1.98 2.84
H 6.21 0.48 -2.76
H -4.47 0.80 0.89
H 3.30 1.78 3.09
H -4.12 0.50 -2.95
H -2.32 3.62 4.07
Br -3.16 -2.52 1.40
N 5.45 -0.37 -4.50
H 2.96 -2.49 -0.97
H 2.35 0.79 -2.22
H -4.81 0.63 3.95
H -0.31 3.55 0.97
H 4.32 -0.29 4.06
H -2.87 -0.63 -2.46
H -0.35 0.35 -3.62
H -1.05 2.35 2.28
C -3.04 0.33 -2.96
H -2.82 -2.73 -1.60
H 2.03 0.59 -3.94
C -1.77 -2.78 -1.33
H -2.30 -0.16 5.11
H 2.77 0.11 4.85
C -0.69 3.58 -0.06
C -1.99 -0.98 4.45
```

Atom charges from the Löwdin analysis, given in e for atoms 1 to 2: atom 1 (C): -0.065, atom 2 (H): 0.043


(2)
One molecule with the formula C2H2O2 at a distorted geometry, computed with ωB97M-V/def2-TZVPD.

Its SMILES is O=C=CO. As for the gap between HOMO and LUMO: 0.3182 Ha. The calculation puts the LUMO energy at 0.173 eV.

Structure (XYZ):
```
6
C2H2O2 ωB97M-V/def2-TZVPD
C 0.39 0.38 -0.08
O 2.82 -0.09 0.02
C 1.67 0.04 -0.12
O -0.63 -0.53 -0.06
H -0.55 -1.39 0.31
H -0.03 1.30 -0.29
```

Atom charges from the Löwdin analysis, given in e for atoms 1 to 2: atom 1 (C): -0.176, atom 2 (O): 0.158


(3)
C33H37N9OW as an isolated structure, computed with ωB97M-V/def2-TZVPD.

The net charge is +4. As for the gap between HOMO and LUMO (alpha / beta): 0.1646 / 0.1648 Ha. The calculation puts the LUMO energy (alpha / beta) at -13.955 / -13.954 eV.

Structure (XYZ):
```
81
C33H37N9OW ωB97M-V/def2-TZVPD
H -4.13 1.67 1.86
H -5.44 1.14 -0.24
H 4.47 3.86 3.25
H -0.03 -0.60 4.65
C 3.93 0.50 4.09
C -4.32 -2.45 -1.13
H 3.08 2.21 -1.06
H 4.26 -4.20 -1.60
H -2.58 2.18 -6.62
H -2.51 -0.12 -5.72
H 3.54 0.54 1.34
H 1.29 1.16 4.22
C 4.43 1.87 3.95
N 1.40 1.45 -0.38
H 0.82 -3.94 1.64
N 0.69 2.06 -1.47
H 4.29 -0.04 4.97
H -0.97 0.89 2.60
C 3.02 0.26 -1.63
C 1.89 1.73 2.17
C -2.08 1.98 -5.68
H -0.32 3.61 -3.28
C 3.74 -2.11 -1.58
H 4.55 -1.81 -2.23
C -6.01 -0.72 -1.10
C 3.58 -3.45 -1.23
H -3.82 2.52 0.36
C -5.61 -2.01 -1.41
H -1.50 4.04 -5.41
C -3.36 1.88 1.11
C -0.06 1.19 -2.06
C -2.89 0.61 0.48
C -0.77 1.51 -3.28
H -2.53 2.42 1.55
C 0.23 -2.00 3.01
C 2.86 -1.16 -1.11
N -0.17 -0.11 -1.53
H 2.10 -0.38 1.59
C -1.46 3.04 -5.00
H 4.05 0.37 -1.96
C -1.39 0.48 -3.98
C -5.11 0.15 -0.49
H -1.46 -0.87 3.68
H -4.04 -3.47 -1.36
H 2.40 0.38 -2.52
C 2.76 2.89 2.46
H -0.75 -2.07 -1.91
W 0.38 -0.13 0.60
H -6.32 -2.69 -1.87
N 1.84 -1.50 -0.27
H 2.43 3.85 2.07
O -1.66 0.33 0.60
C 2.52 -3.79 -0.41
N -0.20 -2.08 1.58
H 0.26 2.39 3.49
C -0.81 2.81 -3.81
N 2.79 1.32 -0.65
C -0.38 -0.76 3.63
H -1.71 -1.59 -3.94
N -1.31 -0.81 -3.43
C -0.75 -1.04 -2.27
H -2.42 -1.93 -0.29
N 3.19 -0.14 3.27